Nonostante gli operatori di telefonia mobile presenti in Italia siano sempre di più e capire quale sia la migliore tra le offerte telefonia mobile disponibili è un po’ più complicato rispetto al passato, il metodo più efficace per risultare vittoriosi nella scelta consiste nel meccanismo della comparazione.
Il confronto tra le tariffe presenti sul mercato italiano permette di delineare fin da subito il quadro mentale delle offerte per il cellulare e di comprendere con maggiore facilità quella che si adatta meglio ai propri bisogni.
Quali dovrebbero essere, nella pratica, i criteri di valutazione, considerando che il prezzo non può essere l’unico elemento da considerare?
What should be the criteria in practice, considering that the price cannot be the only element to be considered?
Some fundamental elements for the activation of a new mobile offer will be presented below.
**Crystal structures that have nothing to do with the piece:**
-- begin --
Entry 1:
! Mo3WSe6S2 (PBE, relaxed); values from VASP
&SYSTEM
  ibrav = 0, nat = 12, ntyp = 4
/
ATOMIC_SPECIES
Mo 95.94 Mo.upf
W 183.84 W.upf
Se 78.96 Se.upf
S 32.06 S.upf
CELL_PARAMETERS angstrom
3.292 0.000 0.000
-1.646 2.851 0.000
0.000 0.000 37.411
ATOMIC_POSITIONS crystal
Mo 0.000 0.000 0.000
Mo 0.000 0.000 0.376
Mo 0.333 0.667 0.564
W 0.333 0.667 0.188
Se 0.000 0.000 0.143
Se 0.000 0.000 0.233
Se 0.000 0.000 0.519
Se 0.000 0.000 0.609
Se 0.333 0.667 0.331
Se 0.333 0.667 0.421
S 0.333 0.667 0.041
S 0.333 0.667 0.959
! * relative energy among the computed polymorphs: 17 meV/atom
! * MP2020-corrected energy: -83.9 eV/cell


Entry 2:
! Y2ZnHg (PBE, relaxed); values from VASP
&SYSTEM
  ibrav = 0, nat = 16, ntyp = 3
/
ATOMIC_SPECIES
Y 88.91 Y.upf
Zn 65.41 Zn.upf
Hg 200.59 Hg.upf
CELL_PARAMETERS angstrom
7.340 0.000 0.000
0.000 7.340 0.000
0.000 0.000 7.340
ATOMIC_POSITIONS crystal
Y 0.250 0.250 0.250
Y 0.250 0.250 0.750
Y 0.250 0.750 0.250
Y 0.250 0.750 0.750
Y 0.750 0.250 0.250
Y 0.750 0.250 0.750
Y 0.750 0.750 0.250
Y 0.750 0.750 0.750
Zn 0.000 0.000 0.000
Zn 0.000 0.500 0.500
Zn 0.500 0.000 0.500
Zn 0.500 0.500 0.000
Hg 0.000 0.000 0.500
Hg 0.000 0.500 0.000
Hg 0.500 0.000 0.000
Hg 0.500 0.500 0.500
! * relative energy among the computed polymorphs: 0 meV/atom


Entry 3:
! Sm4Rh (PBE, relaxed); values from VASP
&SYSTEM
  ibrav = 0, nat = 10, ntyp = 2
/
ATOMIC_SPECIES
Sm 150.36 Sm.upf
Rh 102.91 Rh.upf
CELL_PARAMETERS angstrom
0.000 5.491 5.491
5.491 0.000 5.491
5.491 5.491 0.000
ATOMIC_POSITIONS crystal
Sm 0.209 0.764 0.764
Sm 0.236 0.236 0.236
Sm 0.236 0.236 0.791
Sm 0.236 0.791 0.236
Sm 0.764 0.209 0.764
Sm 0.764 0.764 0.209
Sm 0.764 0.764 0.764
Sm 0.791 0.236 0.236
Rh 0.375 0.375 0.375
Rh 0.625 0.625 0.625
! * DFT total energy: -5.161 eV/atom


Entry 4:
! Cu9P4H2O20 (PBE, relaxed); values from VASP
&SYSTEM
  ibrav = 0, nat = 35, ntyp = 4
/
ATOMIC_SPECIES
Cu 63.55 Cu.upf
P 30.97 P.upf
H 1.01 H.upf
O 16.00 O.upf
CELL_PARAMETERS angstrom
5.956 0.000 0.000
-0.620 8.212 0.000
-1.872 -3.690 7.916
ATOMIC_POSITIONS crystal
Cu 0.000 0.000 0.000
Cu 0.026 0.320 0.356
Cu 0.181 0.398 0.055
Cu 0.318 0.220 0.682
Cu 0.436 0.181 0.292
Cu 0.564 0.819 0.708
Cu 0.682 0.780 0.318
Cu 0.819 0.602 0.945
Cu 0.974 0.680 0.644
P 0.201 0.752 0.407
P 0.337 0.729 0.970
P 0.663 0.271 0.030
P 0.799 0.248 0.593
H 0.137 0.045 0.384
H 0.863 0.955 0.616
O 0.012 0.829 0.318
O 0.086 0.598 0.440
O 0.154 0.568 0.945
O 0.165 0.238 0.166
O 0.228 0.171 0.438
O 0.271 0.910 0.076
O 0.333 0.905 0.582
O 0.334 0.713 0.790
O 0.366 0.671 0.295
O 0.416 0.280 0.937
O 0.584 0.720 0.063
O 0.634 0.329 0.705
O 0.666 0.287 0.210
O 0.667 0.095 0.418
O 0.729 0.090 0.924
O 0.772 0.829 0.562
O 0.835 0.762 0.834
O 0.846 0.432 0.055
O 0.914 0.402 0.560
O 0.988 0.171 0.682
! * relative energy among the computed polymorphs: 0 meV/atom
! * MP2020-corrected energy: -222.5 eV/cell


Q: Which formula does entry 4 have?
A: Cu9P4H2O20
-- stop --
Better an all inclusive tariff than a pay-as-you-go tariff
Someone pasted materials data at this point
~~~
(1)
Compound: Cs3CaFeP4O14
Source: the Materials Project
Functional: GGA+U
Structure: optimized geometry

Lattice parameters (Å, degrees): 9.4546 11.4214 15.3228 90.00 90.00 90.00
Positions (direct):
Cs 0.1274 0.1299 0.3702
Cs 0.1762 0.4894 0.5896
Cs 0.2217 0.7872 0.3042
Cs 0.2783 0.2128 0.8042
Cs 0.3238 0.5106 0.0896
Cs 0.3726 0.8701 0.8702
Cs 0.6274 0.3701 0.6298
Cs 0.6762 0.0106 0.4104
Cs 0.7217 0.7128 0.6958
Cs 0.7783 0.2872 0.1958
Cs 0.8238 0.9894 0.9104
Cs 0.8726 0.6299 0.1298
Ca 0.0445 0.6351 0.8831
Ca 0.4555 0.3649 0.3831
Ca 0.5445 0.8649 0.1169
Ca 0.9555 0.1351 0.6169
Fe 0.1502 0.1238 0.0732
Fe 0.3498 0.8762 0.5732
Fe 0.6502 0.3762 0.9268
Fe 0.8498 0.6238 0.4268
P 0.0201 0.8549 0.5220
P 0.0803 0.4615 0.3281
P 0.0842 0.8717 0.7081
P 0.1515 0.8502 0.0625
P 0.3485 0.1498 0.5625
P 0.4158 0.1283 0.2081
P 0.4197 0.5385 0.8281
P 0.4799 0.1451 0.0220
P 0.5201 0.6451 0.4780
P 0.5803 0.0385 0.6719
P 0.5842 0.6283 0.2919
P 0.6515 0.6498 0.9375
P 0.8485 0.3502 0.4375
P 0.9158 0.3717 0.7919
P 0.9197 0.9615 0.1719
P 0.9799 0.3549 0.9780
O 0.0000 0.3136 0.8763
O 0.0000 0.8136 0.6237
O 0.0290 0.4804 0.9869
O 0.0296 0.9953 0.7220
O 0.0310 0.5793 0.3707
O 0.0491 0.8666 0.1483
O 0.0557 0.7879 0.7824
O 0.0709 0.2691 0.0301
O 0.0814 0.4690 0.2297
O 0.0865 0.7570 0.0044
O 0.1501 0.9713 0.0150
O 0.1775 0.8354 0.5010
O 0.2044 0.1811 0.5996
O 0.2124 0.4131 0.3719
O 0.2435 0.8707 0.6811
O 0.2565 0.1293 0.1811
O 0.2876 0.5869 0.8719
O 0.2956 0.8189 0.0996
O 0.3225 0.1646 0.0010
O 0.3499 0.0287 0.5150
O 0.4135 0.2430 0.5044
O 0.4186 0.5310 0.7297
O 0.4291 0.7309 0.5301
O 0.4443 0.2121 0.2824
O 0.4509 0.1334 0.6483
O 0.4690 0.4207 0.8707
O 0.4704 0.0047 0.2220
O 0.4710 0.5196 0.4869
O 0.5000 0.1864 0.1237
O 0.5000 0.6864 0.3763
O 0.5290 0.0196 0.0131
O 0.5296 0.5047 0.2780
O 0.5310 0.9207 0.6293
O 0.5491 0.6334 0.8517
O 0.5557 0.7121 0.2176
O 0.5709 0.2309 0.9699
O 0.5814 0.0310 0.7703
O 0.5865 0.7430 0.9956
O 0.6501 0.5287 0.9850
O 0.6775 0.6646 0.4990
O 0.7044 0.3189 0.4004
O 0.7124 0.0869 0.6281
O 0.7435 0.6293 0.3189
O 0.7565 0.3707 0.8189
O 0.7876 0.9131 0.1281
O 0.7956 0.6811 0.9004
O 0.8225 0.3354 0.9990
O 0.8499 0.4713 0.4850
O 0.9135 0.2570 0.4956
O 0.9186 0.9690 0.2703
O 0.9291 0.7691 0.4699
O 0.9443 0.2879 0.7176
O 0.9509 0.3666 0.3517
O 0.9690 0.0793 0.1293
O 0.9704 0.4953 0.7780
O 0.9710 0.9804 0.5131

formation energy from the elements	-2.74	eV per atom
volume	414	Å³/f.u.

(2)
Compound: Na4WN2O2
Source: the Materials Project
Functional: GGA+U
Structure: optimized geometry

Lattice parameters (Å, degrees): 5.9195 5.9537 9.0655 83.35 71.44 69.74
Positions (direct):
Na 0.0207 0.2566 0.4488
Na 0.1138 0.7218 0.1876
Na 0.2589 0.2363 0.0154
Na 0.4447 0.2418 0.5937
Na 0.5553 0.7582 0.4063
Na 0.7411 0.7637 0.9846
~~~
End of the materials data
Pay-as-you-go tariffs still exist and there are several operators who sponsor them on their websites. However, when you have to make a choice about a mobile promotion, you have to take into account the evolution of the market.
Nowadays, in fact, it is much more convenient to choose to activate an all inclusive promotion: these are mobile offers that include minutes, calls and a certain number of Giga for a fixed monthly price.
Why choose them? Regardless of whether you are only interested in calls or the Internet, paying for extra services, such as free messages to all, can always be useful in contexts out of the ordinary, such as when there is no connection and you can not send messages via WhatsApp or Telegram.
The operator attack promotions
Another element that has characterized the mobile market for some time is the presence of so-called operator attack offers. What are they exactly and why are they so fashionable?
The operator attack promotions are those that can be activated only by customers who come from certain operators.
They are born because, with the diffusion of an increasing number of market players, losing their customers has become a habit: the operator attack offer has precisely the objective of being able to recover customers who have been lost over the months and who have chosen the competitor that you are trying to beat.
Typical examples of operator attack promotions are those proposed by mobile operators Very Mobile, Kena Mobile and ho. Mobile, whose prices start from 4.99 euros or 5.99 euros per month. These operators - which are virtual type as they rely respectively on the networks of WINDTRE, TIM and Vodafone - propose offers that are both all inclusive and operator attack and with which you can have access from a minimum of 30 Giga to a maximum of 100 Giga monthly, depending on the promotion subscribed, at very low prices.
On the other hand, next to this kind of promotions there are also tariffs that can be activated by any type of customer, as well as for the activation of a new number: this is the case of the proposal of Iliad, which recently launched a limited edition super promotion on the market, but open to all, with which you can have 100 Giga Internet, as well as unlimited minutes and messages, at the modest price of 9.99 euros per month.
Promotions by age group
Among the offers that have some success among operators and that could be really interesting there are those that are aimed at a specific target, more specifically at a specific age group.
So there are offers dedicated to the young and the very young, but at the same time there are promotions that are aimed explicitly at the over 60s: generally this type of mobile phone offers include the services that are considered most interesting for the target audience.
It is precisely the operators that have been active in the mobile market for the longest time, namely TIM, Vodafone and WINDTRE, that sponsor this form of tariff on their respective sites. For example Vodafone proposes:
• Shake it Easy, la quale essendo un’offerta pensata per gli under 30, che ha un costo di 14,99 euro al mese, prevede Giga illimitati per l’utilizzo delle app di messaggistica istantanea, i servizi di streaming musicale e le mappe, oltre che minuti e messaggi verso tutti i numeri, anche in zone Ue;
• Vodafone Facile, che è l’offerta destinata agli over 60, che ha un costo di 12,99 euro al mese e che, per questo motivo, include soltanto 4 Giga di Internet, oltre che minuti e SMS illimitati, anche in zona Ue.
La proposta di TIM per gli over 60 è molto simile, in quanto include 4 Giga mensili e le chiamate illimitate, al costo di 9,90 euro al mese, mentre quella per i giovani ha un costo di 14,99 euro al mese e include 60 Giga di Internet, oltre che minuti e SMS illimitati.
The proposal of WINDTRE is even more articulated for young people, in the sense that there are different plans under 30, under 20 and under 14, as well as the proposal for the over 60, which costs 9.99 euros per month and includes 6 Giga, unlimited calls and 200 SMS.
The mobile phone offers of type 5G
Who wants to keep up with the times, however, must absolutely opt for a promotion of type 5G. At the moment there are 3 operators with which to activate a proposal of this type, or TIM, Vodafone and WINDTRE.
More in detail, with TIM you can choose between the promotion TIM Advance 5G, which at a cost of 29.99 euros per month allows you to have access to unlimited calls and minutes and 50 Giga Internet, or TIM Advance 5G Top, which at a cost of 49.90 euros per month of Giga includes 100.
Infinito è la gamma di Vodafone dedicata alle offerte di tipo 5G: al costo di 24,99 euro al mese è possibile navigare alla velocità di 2 Mbps e avere accesso a minuti, messaggi e Giga illimitati, oltre che 1 Giga e 200 minuti in roaming extra Ue.
In alternativa è possibile optare per:
• Infinito Gold Edition, che ha un costo di 29,99 euro al mese, che prevede (in più rispetto alla versione Infinito) 2 Giga e 300 minuti in roaming extra Ue e la velocità di 10 Mbps;
• Infinito Black Edition, che differisce per il costo di 39,99 euro al mese, per i 5 Giga e 500 minuti inclusi in roaming extra Ue, e per 12 mesi di NOW TV gratuiti.
........
The following is a PBE-GGA calculation of a relaxed structure of SrNi2As2, from the Materials Project.

Unit cell a=5.9616 b=5.9616 c=5.9616 alpha=139.06 beta=139.06 gamma=59.28
Last column: nearest neighbours and their distance in Å.
Sites, in units of the cell vectors:
Sr 0.0000 0.0000 0.0000  8 As 3.28, 8 Ni 3.33
Ni 0.2500 0.7500 0.5000  4 As 2.38
Ni 0.7500 0.2500 0.5000  4 As 2.38
As 0.3610 0.3610 0.0000  4 Ni 2.38
As 0.6390 0.6390 0.0000  4 Ni 2.38

Calculated values
Total energy   -5.176 eV/atom
Calculated volume   18.0 Å³ per atom
Symmetry   I4/mmm, No. 139

The following is a PBE-GGA calculation of a relaxed structure of SrNi5As3, from the Materials Project.

Unit cell a=6.4016 b=6.4016 c=11.9469 alpha=90.00 beta=90.00 gamma=145.83
Last column: nearest neighbours and their distance in Å.
Sites, in units of the cell vectors:
Sr 0.1642 0.8358 0.7500  7 As 3.17-3.40, 8 Ni 3.37-3.45
Sr 0.8358 0.1642 0.2500  7 As 3.17-3.40, 8 Ni 3.37-3.45
Ni 0.0000 0.0000 0.0000  4 As 2.44, 6 Ni 2.50-2.62
Ni 0.0000 0.0000 0.5000  4 As 2.44, 6 Ni 2.50-2.62
Ni 0.1932 0.8068 0.0670  4 As 2.30-2.44, 1 Ni 2.50
Ni 0.1932 0.8068 0.4330  4 As 2.30-2.44, 1 Ni 2.50
Ni 0.4517 0.5483 0.6448  4 As 2.39-2.42, 3 Ni 2.51-2.62
Ni 0.4517 0.5483 0.8552  4 As 2.39-2.42, 3 Ni 2.51-2.62
Ni 0.5483 0.4517 0.1448  4 As 2.39-2.42, 3 Ni 2.51-2.62
Ni 0.5483 0.4517 0.3552  4 As 2.39-2.42, 3 Ni 2.51-2.62
Ni 0.8068 0.1932 0.5670  4 As 2.30-2.44, 1 Ni 2.50
Ni 0.8068 0.1932 0.9330  4 As 2.30-2.44, 1 Ni 2.50
As 0.1134 0.8866 0.2500  6 Ni 2.39-2.40
As 0.3791 0.6209 0.0408  7 Ni 2.30-2.44
As 0.3791 0.6209 0.4592  7 Ni 2.30-2.44
As 0.6209 0.3791 0.5408  7 Ni 2.30-2.44
As 0.6209 0.3791 0.9592  7 Ni 2.30-2.44
As 0.8866 0.1134 0.7500  6 Ni 2.39-2.40

Calculated values
Total energy   -5.467 eV/atom
Calculated volume   15.3 Å³ per atom
Symmetry   Cmcm, No. 63

The following is a PBE-GGA calculation of a relaxed structure of Tb2NiAs2, from the Materials Project.

Unit cell a=4.1307 b=4.1307 c=14.2255 alpha=90.00 beta=90.00 gamma=120.00
Last column: nearest neighbours and their distance in Å.
Sites, in units of the cell vectors:
Tb 0.3333 0.6667 0.0000  6 As 2.93-3.02, 3 Ni 3.16
Tb 0.3333 0.6667 0.2657  6 As 2.89-3.06, 3 Ni 2.94
Tb 0.6667 0.3333 0.5000  6 As 2.93-3.02, 3 Ni 3.16
Tb 0.6667 0.3333 0.7657  6 As 2.89-3.06, 3 Ni 2.94
Ni 0.0000 0.0000 0.1454  3 As 2.39
Ni 0.0000 0.0000 0.6454  3 As 2.39
As 0.0000 0.0000 0.3808  6 Tb 2.89-2.93
As 0.0000 0.0000 0.8808  6 Tb 2.89-2.93
As 0.3333 0.6667 0.6304  3 Ni 2.39
As 0.6667 0.3333 0.1304  3 Ni 2.39

Calculated values
Spin magnetization   0.00 Bohr magnetons per cell
Total energy   -6.116 eV/atom
Calculated volume   21.0 Å³ per atom
Symmetry   P6_3mc, No. 186

The following is a PBE-GGA calculation of a relaxed structure of Tb2NiAs2, from the Materials Project.

Unit cell a=4.1065 b=4.1065 c=14.4034 alpha=90.00 beta=90.00 gamma=120.00
Last column: nearest neighbours and their distance in Å.
Sites, in units of the cell vectors:
........
[The piece goes on]
La soluzione di WINDTRE ha un costo di 29,90 euro al mese e include Giga illimitati per navigare dal proprio smartphone alla velocità del 5G. Please note that in order to use one of the 5G offers mentioned you will need to be in possession of a cell phone that allows the use of this network technology, for which we recommend taking advantage of one of the offers with phone included available on the sites of TIM, Vodafone and WINDTRE.